App Edition

Editing your app in Simitless is easy. The edition panel can be reached from nearly every screen and your application can be edited in real time. The forms users are currently using will update automatically near instantly.

Edition menu

To open the edition panel, use the app menu. It is normally accessible on the top right-hand side of the screen and has 3 vertical dots . In the menu, you will find a line “ Edit App”.

The app main settings

The app main settings

Simple Options

This menu item opens a side drawer on that lets you edit the application details. The main settings include:

  • Name, the name of the application that will be displayed everywhere
  • Description, this is the application description that will be displayed everywhere it is necessary. For example, in the marketplace, for internal listings. It should explain what the app does and who for. Adding a short description to your app helps users find it and remember what it is for. What is your app’s purpose? It doesn’t need to be long!
  • Default language, this is the display language of your application. This is taken from the workspace default language when your app is created. When changing the default language, you may be prompted to choose to migrate the existing content to the new language or if you prefer to keep the current content as it is. It is useful when you input all the type names in English, for example but your app was configured as a French app. You don’t want to have to re-type all of the content that was mistakenly typed in. If you made a mistake and entered French labels under the English language, click “Migrate”. Otherwise, click “Keep” to keep the labels as they were, and simply change the default language, for example, when adding a secondary language to your app but wanting to also change the default language to the new language you are adding.
  • Translations, lets you have a secondary language for your application. This is very useful when you have users that speak multiple language, if your company is based in multiple countries, for example.

Translatable content

The translatable content includes:

  • Application name
  • Application description
  • Data types names
  • Data types descriptions
  • Data types unit labels
  • Some of the data types that proposes to select labeled or named values

The data content itself is always the same in every language.

Main App screen

The main app screen lets you add, still from the app edition menu, one or multiple views. Those include:

App View Description
Lists in boxes

Inserted here: data records
-- begin --
# 1
Diffraction record for Li2Ca3Cd9. The XRD peak list is computed, not measured: it uses DFT lattice parameters and positions (GGA-PBE) and copper Kα.

Structure:
Cell lengths 8.8636, 8.8636, 8.8636 Å; angles 148.03, 108.27, 80.69 degrees
Fractional coordinates of all 14 atoms:
Li 0.1722 0.0000 0.1722
Li 0.8278 0.0000 0.8278
Ca 0.2094 0.2094 0.0000
Ca 0.5000 0.5000 0.0000
Ca 0.7906 0.7906 0.0000
Cd 0.0000 0.5000 0.5000
Cd 0.0887 0.3692 0.7195
Cd 0.2111 0.8498 0.3612
Cd 0.3503 0.6308 0.7195
Cd 0.4886 0.8498 0.6388
Cd 0.5114 0.1502 0.3612
Cd 0.6497 0.3692 0.2805
Cd 0.7889 0.1502 0.6388
Cd 0.9113 0.6308 0.2805

Top 10 peaks for 10° ≤ 2θ ≤ 80°, in order of rising 2θ:
2θ/deg, intensity
20.10, 46
21.53, 21
26.39, 34
31.64, 100
32.06, 50
36.82, 51
39.89, 45
41.69, 39
49.29, 29
62.96, 29

***

# 2
Diffraction record for Y7Ho3. The XRD peak list is computed, not measured: it uses DFT lattice parameters and positions (GGA-PBE) and copper Kα.

Structure:
Cell lengths 9.4615, 9.4615, 7.0528 Å; angles 111.83, 111.83, 33.47 degrees
Fractional coordinates of all 10 atoms:
Y 0.0000 0.0000 0.0000
Y 0.1998 0.1998 0.7001
Y 0.3903 0.3903 0.1399
Y 0.3903 0.3903 0.6399
Y 0.6097 0.6097 0.3601
Y 0.6097 0.6097 0.8601
Y 0.8002 0.8002 0.2999
Ho 0.0000 0.0000 0.5000
Ho 0.1994 0.1994 0.1998
Ho 0.8006 0.8006 0.8002

Top 10 peaks for 10° ≤ 2θ ≤ 80°, in order of rising 2θ:
2θ/deg, intensity
30.67, 83
31.42, 100
32.87, 46
33.26, 39
34.31, 14
41.32, 16
47.46, 28
57.78, 17
58.73, 15
61.87, 19

***

# 3
Diffraction record for TbPr2As2Se2. The XRD peak list is computed, not measured: it uses DFT lattice parameters and positions (GGA-PBE) and copper Kα.

Structure:
Cell lengths 8.3673, 8.3673, 8.3673 Å; angles 142.66, 142.66, 53.84 degrees
Fractional coordinates of all 7 atoms:
Tb 0.0000 0.0000 0.0000
Pr 0.3776 0.3776 0.0000
Pr 0.6224 0.6224 0.0000
As 0.0000 0.5000 0.5000
As 0.5000 0.0000 0.5000
Se 0.1892 0.1892 0.0000
Se 0.8108 0.8108 0.0000

Top 10 peaks for 10° ≤ 2θ ≤ 80°, in order of rising 2θ:
2θ/deg, intensity
11.86, 44
23.48, 86
24.42, 32
33.45, 100
33.72, 26
34.40, 89
48.03, 36
48.75, 72
60.44, 29
70.86, 29

***

# 4
Diffraction record for Ho4TmPb5. The XRD peak list is computed, not measured: it uses DFT lattice parameters and positions (GGA-PBE) and copper Kα.

Structure:
Cell lengths 7.6703, 7.6703, 7.6703 Å; angles 99.59, 99.59, 131.81 degrees
Fractional coordinates of all 10 atoms:
Ho 0.0993 0.6995 0.7987
Ho 0.3005 0.0993 0.3998
Ho 0.6995 0.9007 0.6002
Ho 0.9007 0.3005 0.2013
Tm 0.4962 0.4962 0.0000
Pb 0.2014 0.3998 0.6011
Pb 0.3998 0.7987 0.1984
Pb 0.6003 0.2014 0.8016
Pb 0.7987 0.6003 0.3989
Pb 0.9960 0.9960 0.0000

Top 10 peaks for 10° ≤ 2θ ≤ 80°, in order of rising 2θ:
2θ/deg, intensity
24.62, 2
28.50, 100
40.75, 78
48.19, 1
50.48, 28
58.99, 13
64.90, 1
66.80, 37
74.18, 28
79.53, 1


The following is a simulated powder XRD pattern of Ca4Ho3Te8. It was derived from a crystal structure in Alexandria, relaxed with GGA-PBE, using CuKα.
-- stop --
So much for the data records

App main screen, List view

App main screen, List view
displays each main type as a box containing a list with the 5 most recent records in it
Sun Book

App main screen, Book view

App main screen, Book view
displays a book image, with around it your app main elements. On the top part are the data input elements of your application, on the bottom are the exploitation tools of you app, such as dashboards, graphs, resale elements, products, workflows. On small screnns such as on a mobile phone, this view falls back to a tiled view. This is the default view in new apps.

App main screen, Tiled view

App main screen, Tiled view
displays a simple view of buttons arranged as tiles to direct you towards the main elements of your application. Because it is simple, this is the default mobile view.
One Data record displays one record that you select in the settings of this view. This is useful to show a main record that calculates statics for example, or if your app is really simple and has only one record. This is not meant to be changed regularly.
One Data Type displays a default data type. This is mostly when your app has only one main data type that you are expecting to use in most of your interactions. A custom default perspective can also be applied to fully customize this view.
Dashboard displays a default dashboard as the main screen. A dashboard is a collection of graphs.
Combined views enables you to combine your own screen by adding multiple views from this list. Practical to compose a quick-reference screen when you open your app. Please remember that the more things you add to the views, the heavier and slow your app may become. For each sub-view used in the combined views, you can select a screen ratio (in 1/12th increment) that will be used on desktop views to display sub-views side by side: 1/12, 1/6, 1/4, 1/3, 5/12, 1/2, 7/12, 2/3, 3/4, 5/6, 11/12, 1.
Tabbed views enables you to assemble the other views and display them under tabs. This is useful to find a balance between having lots of information available quickly on opening your app and not loading everything at once.
Accordion views enables you to do the same as tabbed views but the interaction is slightly different. An horizontal accordion with folding zones is built rather than the sections being tabs.
Buttons enables you to add direct-action buttons to the main view. You are free to add as many buttons as you want. These buttons can be links toward a data type (main type or subtype), a link towards a specific record (for example, a summary record, year statistics, etc), or towards a pre-defined perspective (data search, filters, presentation type, etc), or event a link towards creating a new blank record of a specific data type.

App Icon

First and most visible part of the customization you can build in your app, this section lets you upload an app icon. This can be displayed (optionally, see the app settings) in all of your application’s page’s footers. It is also used to present your application on the workspace page listing all your workspace’s applications and it will be displayed as well on the welcome screen of any open app. This icon may then be presented to the public if your app allows it in its settings.

Any web-compatible image file is accepted in this field. The size of the file counts towards your file quota. By default, a small free file quota is included in your workspace to enable you to add icons. The maximum size for an app icon is 2MB. This should be largely enough as they are displayed in a square of 500 pixels maximum.

Open access settings

App open access settings

App open access settings

On Simitless, you have the option de open up your applications to the world. This means the public could have access to the data of your application if you decide so. To proceed and share your application data and access securely, open the “Open access settings” accordion in the application settings. Once you enable “Open Application”, you will be prompted for some information, if it has not been configured in the workspace yet.

Open application requires the following information to be configured in your workspace:

  • main postal address (legal requirement),
  • website address (for your users and for your marketing),
  • Support contact (legal requirement, but for your users as well).

Once the application is marked as open, it is immediately available to the world. You can however tune the following options:

  • Publish in the marketplace, to list your application in the Simitless Marketplace,
  • Grant workspace rights, to let users join the workspace (and eventually view other apps that are listed in the workspace) when they join the app itself,
  • Protect the open app with a special app-specific passphrase, to lock your app only to users knowing or able to guess a secret passphrase,
  • A welcome message or a passphrase hint, in order to give a hint to users so they can guess the passphrase, or simply to welcome them in.

Passphrase protected open app

Passphrase protected open app

When your application is open, you can also ask the platform to collect some information for you, from the user, before the user is granted access to you app. You have the choice to mark any of these fields required or optional in order to grant the user access to your open app: “Name”, “Email Address”, “Phone Number”.

When an app is not open, you have an option to “list this app in the workspace”, so that users can request membership without being invited. This option is removed and activated by default when your app is open. With this option, users that have been added to your workspace (either manually or automatically through joining another app), can see the existance of other apps and are presented with a button to request an access. The application or workspace administrator will still have to validate every request in the user management area.

Help and communication options

This settings accordion contains only one option for now: “Get tips and suggestions to improve my app”. This option, activated by default, is proposed to serve at a later date. The Simitless development crew is working on additional features that would automatically analyze your apps and propose improvement to you. This is not enabled yet, but you have the option to be informed when it will be. You will always be able to deactivate this option later at any point. For now, it does nothing.

App visual screen options

To further customize your app, your can fine-tune additional visual options in the app settings, under the “App Visual Screen Options” accordion, you will find a few options:

  • Hide breadcrumbs, to remove the top navigation bar that is present on all of your app screens,
  • Hide footer, to remove the bottom footer bar that is present on all of your app screens
  • Use the app own icon instead of the workspace icon or the Simitless icon, to make your apps more “Whitelabeled”,
  • Use a custom branding color, to define a color (65 millions choices!) theme and enable instant environment recognition by users,
  • Keep the breadcrumbs bar in greyscale tones even with an app color defined, in case the color you defined becomes overwhelming and you just want some subtle hints of color in your app, not everything in that color.

Note: Enabling the “Hide footer” option disables the use of the icon in the footer as the footer is never shown. Enabling the “Hide breadcrumb navigation” disables the greyscale tone option as the header is then never shown.

Optional Simitless features

Simitless proposes additional features for your applications. They are not activated by default, as to not confuse new users, but can be activated upon request. These include:

Because these features are experimental and incomplete, we don’t let users activate all of them by themselves. Contact us if you want to experiment with us and to discuss your need for them:

Importing and exporting


The export feature lets you download a zip archive with the content of your app:

  • Data, including structure, configuration and content in the JSON format;
  • Data history, the previous values for each field in your form (based on data retention currently in the Simitless policies);
  • Files that have been uploaded to the Simitless platform. The file name and information will also be referenced in the data structure.

With Simitless, you can get back all of your data: Your data, your rights.


The import features allows you to clone an existing app into a new space or to restore an app that was designed in Simitless.

When clicking on the import in App button, you will be prompted to select a file. Simitless export files usually bear the extensions “”. Once this file is loaded, the import process will ask you to select the elements you want to import. You can choose to only partially import the structure of an application.

Across updates, app archives may become incompatible or partially compatible. For best results, you should only use recent Simitless app archives to import into the system.

Deleting your app

At the bottom of the settings form, one field indicates “Delete the application and its content”. To request the deletion of this application, including all of the data, workflow definitions, landing page, and products, type the app name over the placeholder and click Delete App. For security reasons, this form require you to type (or paste) the name of the application. This name is still suggested as a placeholder to the input field but you need to re-type it in. And to avoid accidental deletion (as this is not reversible), this form does not let you validate using the “return/enter” key of your keyboard unless you focus on the button first.

Once you click the button, a confirmation box checks, again, with you the action of deleting the application. This should be safe and secure!

Note: Depending on circumstances, you may not be allowed to delete an app if there are other users that paid to access it. You have a service provider contract towards these users. In this case, you will need to address cancelling the users subscriptions and you will have to deal with eventually refunding the users, depending on the subscription contract, prior to deleting the application.

Advanced Options

For advanced users and developers, the platform provide additional settings that enable technically complex operations that may not be within the reach of normal users.

Email Sending

A bit of background

In computing, especially on the internet, we use multiple computers that are interconnected and given a specific role. Your email system is actually composed of multiple of these computers with a specific job. Your email client is just a piece of software connecting to two different type of servers. To receive email, the server is called a POP or IMAP server, two complementary/competing inbox standards that handle your incoming emails. To send emails, you user a SMTP server.

The job of this server is to handle the communication but also the security of sending emails. In the distant past, SMTP severs were open and everybody could use them based on trust, but then spam messages were invented and abusers come through to sell you pills and tell you that you won a few million dollars… So email sending security was invented and you now need to sign in a secure email sending server that authentify itself and performs a bunch of complex declarations. As this is complex and can be expensive to do, this is why now you have quotas to send emails in your free email box.

If you are trying to send an email to more than 50 contacts, this will usually be a problem with free email providers. Some email software don’t support well such a massive automated send. For example, Gmail struggles after 10000 characters (~200 email addresses) on Chrome and anyways, set a limit to (500 recipients per day maximum), Outlook has a maximum of 2000 characters (~60 email addresses) on windows and Apple mail limits to 500 recipients a day as well.

Professional marketing email providers are your best option to not have a sending limitation. Simitless will let you use free providers in the email sending settings but we won’t be able to go around their limitations! We suggest subscribing to a well known email sending service provider such as Mailjet, MailGun, Sendgrid or (French provider, in French only).

What is it all for?

You can add a smtp relay server to bulk send emails through the Simitless platform. Configuring a server enables additional features around email such as sending an email one-by-one to many recipients automatically. This is particularly useful when creating CRM, *RM, Marketing or ERP apps. Sending to each person individually rather than using “cc” improves the deliverability (less spam folder) and increases engagement (users opening and eventually acting on the message).

Setting things up

To configure the SMTP Server settings, you simply need 4 parameters:

  • SMTP Server url,
  • SMTP port (typically 25, 2525, 465 or 587) – 2525 or 587 are prefered for modern use,
  • the username for your SMTP provider account (in some cases it is just “apikey”, with the actual key input in the password field),
  • the password (or api key) for your SMTP provider account.

Note: Unlike most of the settings on Simitless, the SMTP form needs you to click the Save button.

Custom CSS

CSS is the abbreviation for Cascading Style Sheet. This is the programing language that defines the way things are presented on the screen.

Even though this is a “no-code” platform, the Simitless platfrom attempts to propose a clean and consistent class system for developers to fine-tune the display of their app and offer maximum customizability. If you have a web developer, they can customize the look of your apps. This feature is for developers only as it is technically quite advanced.

Here is an extract of the classes you will be able to find by exploring the code generated by your apps in the developer environment of your browser. The entire platform is based on a customized version of the “Bootstrap” library.

CSS class Usage
Container for the app general screen layout
Container for the app breadcrumb header
Container for the app content
classes for the data elements
Button for the tree button of the data structure
Title of the data item being displayed
Buttons to control actions on the data
Button to trigger data upload
Button and options to manage search and perspectives
Buttons to add and manage filters
Button to show more action buttons (mostly on mobile views, when buttons are collapsed to clear up some screen space)
Button to show more options such as perspective management, graph button
Modal view data container
Container for a data form
Container for the header of the data form
Container for each data field in the data form
Container for the footer of the data form
Differentiator for each data type field in the data form
Unique identifier for the data field of a specific record
Container for the license logo and link
Container for the application footer

Note: Unlike most of the settings on Simitless, the custom CSS form needs you to click the Save button.